Rails protect_from_forgery breaks login form if idle Rails protect_from_forgery breaks login form if idle ruby-on-rails ruby-on-rails

Rails protect_from_forgery breaks login form if idle

so what session is expiring?

The session in question is the Rails Session (see What are Sessions? in the Ruby on Rails Security Guide), which is a lightweight data-storage abstraction that persists arbitrary state across HTTP requests (in an encrypted cookie by default, other session-storage implementations can also be configured). Session state may include an authenticated user ID, but it can also be used for other purposes.

In this case, the session is not being used for user authentication, but to store a temporary 'authenticity token' as part of a Rails security feature that protects your website against Cross-Site Request Forgery (CSRF) attacks on POST (or other non-GET) requests.

The Rails API documentation describes this feature in more detail:

Controller actions are protected from Cross-Site Request Forgery (CSRF) attacks by including a token in the rendered HTML for your application. This token is stored as a random string in the session, to which an attacker does not have access. When a request reaches your application, Rails verifies the received token with the token in the session.

See also the Cross-Site Request Forgery section of the Ruby on Rails Security Guide for a more complete overview of what a CSRF attack is, and how session-based authenticity-token verification protects against it.

What other options are there to fix this?

  • Increase the duration of your Rails session expiration time (e.g., by increasing the duration of the expire_after option passed to your cookie_store initializer, or removing the option entirely to make the session never expire).

  • Instead of using session-cookie expiration to expire logged-in sessions, use Devise's :timeoutable module:

    devise :timeoutable, timeout_in: 15.minutes

Or is the solution we have used not as insecure as we think?

Configuring Rails to skip the verify_authenticity_token callback disables CSRF protection for that particular controller action, which makes the action vulnerable to CSRF attacks.

So to rephrase your question, is disabling CSRF protection only for the SessionsController#create action still insecure in any significant/meaningful sense? Though this depends on your application, in general yes, I believe so.

Consider this scenario:

A CSRF attack against SessionsController#create would allow an attacker to maliciously direct a victim's browser to login to a user account under the attacker's control. The next time the victim visited your website (e.g., when redirected by the attacker), their browser could still be logged in to the attacker-controlled account. The victim could then unknowingly submit sensitive personal data or perform sensitive actions on your website that could be read by the attacker.

While this scenario may be less obviously dangerous than what could happen if CSRF protection were disabled on other more sensitive/destructive controller actions, it still exposes enough of a potential user/data-privacy issue that I consider it to be insecure enough to recommend against disabling the default protection.


This error comes when "authenticity token" created while rendering form (login form) is already expired.

There are only two ways by which we can resolve this issue.

  • Configuring Rails to skip the verify_authenticity_token for controller#action - Insecure as already mentioned in the question
  • (Only left way)Auto reload the screen(here Login screen ) whenever such exception encountered.

Find the modified code for the same and add this in application_controller.rb to generalize the solution for whole application.

Data records, as found in the file:
~~~
# PBE-GGA TbSmHo2Tm4, relaxed
data_TbSmHo2Tm4
_space_group_name_H-M_alt 'P 1 2/m 1'
_space_group_IT_number 10
_cell_length_a 4.9832
_cell_length_b 4.9845
_cell_length_c 9.9435
_cell_angle_alpha 90.00
_cell_angle_beta 90.06
_cell_angle_gamma 90.00
loop_
_space_group_symop_operation_xyz
'x,y,z'
'-x,-y,-z'
'-x,y,-z'
'x,-y,z'
loop_
_atom_site_label
_atom_site_type_symbol
_atom_site_fract_x
_atom_site_fract_y
_atom_site_fract_z
_atom_site_occupancy
Tb1 Tb 0.0000 0.0000 0.0000 1
Sm1 Sm 0.5000 0.5000 0.5000 1
Ho1 Ho 0.0000 0.0000 0.5000 1
Ho2 Ho 0.5000 0.5000 0.0000 1
Tm1 Tm 0.0001 0.5000 0.2488 1
Tm2 Tm 0.5001 0.0000 0.2488 1
# Crystal system: monoclinic
# Calculated total energy in eV per atom: -4.525



# PBE-GGA Li7InSb4, relaxed
data_Li7InSb4
_space_group_name_H-M_alt 'C 1 2/m 1'
_space_group_IT_number 12
_cell_length_a 12.3435
_cell_length_b 5.0668
_cell_length_c 10.2852
_cell_angle_alpha 90.00
_cell_angle_beta 124.13
_cell_angle_gamma 90.00
loop_
_space_group_symop_operation_xyz
'x,y,z'
'-x,-y,-z'
'-x,y,-z'
'x,-y,z'
'x+1/2,y+1/2,z'
'-x+1/2,-y+1/2,-z'
'-x+1/2,y+1/2,-z'
'x+1/2,-y+1/2,z'
loop_
_atom_site_label
_atom_site_type_symbol
_atom_site_fract_x
_atom_site_fract_y
_atom_site_fract_z
_atom_site_occupancy
Li1 Li 0.0000 0.0000 0.0000 1
Li2 Li 0.0818 0.5000 0.4366 1
Li3 Li 0.1774 0.0000 0.8962 1
Li4 Li 0.2291 0.0000 0.6433 1
In1 In 0.0000 0.5000 0.0000 1
Sb1 Sb 0.1000 0.0000 0.3101 1
Sb2 Sb 0.2064 0.5000 0.7733 1
# Crystal system: monoclinic
# Energy relative to the lowest polymorph listed for this composition in meV per atom: 17
# ΔE_f (raw) in eV/atom: -0.391



# PBE-GGA ReAs, relaxed
data_ReAs
_space_group_name_H-M_alt 'C 1 m 1'
_space_group_IT_number 8
_cell_length_a 8.7325
_cell_length_b 3.0817
_cell_length_c 7.6922
_cell_angle_alpha 90.00
_cell_angle_beta 114.21
_cell_angle_gamma 90.00
loop_
_space_group_symop_operation_xyz
'x,y,z'
'x,-y,z'
'x+1/2,y+1/2,z'
'x+1/2,-y+1/2,z'
loop_
_atom_site_label
_atom_site_type_symbol
_atom_site_fract_x
_atom_site_fract_y
_atom_site_fract_z
_atom_site_occupancy
Re1 Re 0.0000 0.0000 0.0000 1
Re2 Re 0.0111 0.0000 0.6074 1
Re3 Re 0.4197 0.0000 0.2655 1
As1 As 0.1920 0.5000 0.9163 1
As2 As 0.2210 0.5000 0.3263 1
As3 As 0.3293 0.0000 0.6994 1
# Crystal system: monoclinic
# Energy relative to the lowest polymorph listed for this composition in meV per atom: 130


[1]
First-principles (PBE-GGA) data for a geometry-optimized Zr2MnNi structure, as listed in Alexandria via LeMat-Bulk.

Space group ... No. 119
Total magnetization ... 1.68 Bohr magnetons per cell
Volume ... 68.1 Å³/cell
Total DFT energy (no corrections) ... -32.2 eV per cell

Structure (POSCAR):
```
Zr2MnNi
1.0
-1.931 1.931 4.565
1.931 -1.931 4.565
1.931 1.931 -4.565
Zr Mn Ni
2 1 1
Direct
0.000 0.000 0.000 Zr
0.750 0.250 0.500 Zr
0.250 0.750 0.500 Mn
0.500 0.500 0.000 Ni
```

***

[2]
First-principles (PBE-GGA) data for a geometry-optimized Zr2MnNi9 structure, as listed in Alexandria via LeMat-Bulk.

Space group ... No. 123
~~~
Here the text continues:

rescue_from ActionController::InvalidAuthenticityToken do  redirect_to root_urlend

Another option would be to include some JS on the page that would automatically reload a little while before your token expires (and therefore keep the auth token valid).

You would probably want to check to check for mouse/keyboard action before reloading in case the user is just in the process of filling out the form.

It seems that the biggest downside of this option would be the fact that the JS is decoupled from the actual amount of time the auth token is valid... So it could prove to be a maintenance issue if you change your timeout duration often.